Lent: Spring Training for Catholics
........
# LiDyLuRu (GGA-PBE, optimized geometry)
# Volume: 324 Å³/cell
data_LiDyLuRu
_chemical_formula_sum 'Li4 Dy4 Lu4 Ru4'
_cell_length_a 6.870
_cell_length_b 6.870
_cell_length_c 6.870
_cell_angle_alpha 90.00
_cell_angle_beta 90.00
_cell_angle_gamma 90.00
_symmetry_space_group_name_H-M 'F -4 3 m'
_symmetry_Int_Tables_number 216
_symmetry_space_group_name_Hall 'F -4 2 3'
loop_
_atom_site_label
_atom_site_type_symbol
_atom_site_fract_x
_atom_site_fract_y
_atom_site_fract_z
Li1 Li 0.000 0.000 0.000
Dy1 Dy 0.250 0.250 0.250
Lu1 Lu 0.250 0.250 0.750
Ru1 Ru 0.000 0.000 0.500

=====

# LiDyLuSi (GGA-PBE, optimized geometry)
# Volume: 334 Å³/cell
# ΔE_f (raw): -32.6 kJ/mol of atoms
data_LiDyLuSi
_chemical_formula_sum 'Li4 Dy4 Lu4 Si4'
_cell_length_a 6.941
_cell_length_b 6.941
_cell_length_c 6.941
_cell_angle_alpha 90.00
_cell_angle_beta 90.00
_cell_angle_gamma 90.00
_symmetry_space_group_name_H-M 'F -4 3 m'
_symmetry_Int_Tables_number 216
_symmetry_space_group_name_Hall 'F -4 2 3'
loop_
_atom_site_label
_atom_site_type_symbol
_atom_site_fract_x
_atom_site_fract_y
_atom_site_fract_z
Li1 Li 0.000 0.000 0.000
Dy1 Dy 0.250 0.250 0.250
Lu1 Lu 0.250 0.250 0.750
Si1 Si 0.000 0.000 0.500

=====

# LiTbDyLu (GGA-PBE, optimized geometry)
# Volume: 453 Å³/cell
data_LiTbDyLu
_chemical_formula_sum 'Li4 Tb4 Dy4 Lu4'
_cell_length_a 7.678
_cell_length_b 7.678
_cell_length_c 7.678
_cell_angle_alpha 90.00
_cell_angle_beta 90.00
_cell_angle_gamma 90.00
_symmetry_space_group_name_H-M 'F -4 3 m'
_symmetry_Int_Tables_number 216
_symmetry_space_group_name_Hall 'F -4 2 3'
loop_
_atom_site_label
_atom_site_type_symbol
_atom_site_fract_x
_atom_site_fract_y
_atom_site_fract_z
Li1 Li 0.000 0.000 0.000
Tb1 Tb 0.250 0.250 0.250
Dy1 Dy 0.250 0.250 0.750
Lu1 Lu 0.000 0.000 0.500

=====

# LiDyLuTc (GGA-PBE, optimized geometry)
# Volume: 329 Å³/cell
data_LiDyLuTc
_chemical_formula_sum 'Li4 Dy4 Lu4 Tc4'
_cell_length_a 6.906
_cell_length_b 6.906
_cell_length_c 6.906
_cell_angle_alpha 90.00
_cell_angle_beta 90.00
_cell_angle_gamma 90.00
_symmetry_space_group_name_H-M 'F -4 3 m'
_symmetry_Int_Tables_number 216
_symmetry_space_group_name_Hall 'F -4 2 3'
loop_
_atom_site_label
_atom_site_type_symbol
_atom_site_fract_x
_atom_site_fract_y
_atom_site_fract_z
Li1 Li 0.000 0.000 0.000
Dy1 Dy 0.250 0.250 0.250
Lu1 Lu 0.250 0.250 0.750
Tc1 Tc 0.000 0.000 0.500

=====

# LiDyLuTl (GGA-PBE, optimized geometry)
# Volume: 404 Å³/cell
data_LiDyLuTl
_chemical_formula_sum 'Li4 Dy4 Lu4 Tl4'
_cell_length_a 7.394
_cell_length_b 7.394
_cell_length_c 7.394
_cell_angle_alpha 90.00
_cell_angle_beta 90.00
_cell_angle_gamma 90.00
_symmetry_space_group_name_H-M 'F -4 3 m'
_symmetry_Int_Tables_number 216
_symmetry_space_group_name_Hall 'F -4 2 3'
loop_
_atom_site_label
_atom_site_type_symbol
_atom_site_fract_x
_atom_site_fract_y
_atom_site_fract_z
Li1 Li 0.000 0.000 0.000
Dy1 Dy 0.250 0.250 0.250
Lu1 Lu 0.250 0.250 0.750
Tl1 Tl 0.000 0.000 0.500

=====

# LiDyLuZn (GGA-PBE, optimized geometry)
# Volume: 365 Å³/cell
........
“St. Francis was always new, always fresh, always beginning again.”¹
"Lent is spiritual spring training — we get the flab out, we get the sins out," said Cardinal Timothy Dolan in 2012 after the Ash Wednesday rite at St. Patrick's Cathedral. "Our fight is not against the Red Sox or the Cardinals; it's against Satan and sin and selfishness."
Just as spring training prepares the major league baseball player for the challenges of the new season, Lent, the spring renewal of our Christianity, prepares us for the challenges of our spiritual lives. It is with simplicity that the Gospel of Mark presents the testing of the Lord in just two verses on the first Sunday of Lent. The Spirit sends Jesus to the desert for forty days. Jesus is put to the test. We do not find the three temptations of changing a rock to bread, or jumping off the parapet of the Temple safely, or receiving the power of the world which we read in Matthew and Luke. The temptations were not important to Mark. For Mark the only thing that matters is that the Lord was strengthened by this test and then was ready to proclaim his Father’s Kingdom. As we pray during Lent and relate the forty days the Lord spent in the desert to the forty days of Lent, we also can relate tests that we have had or may still have in our lives. Spiritually, we are ready for the curve balls that life throws at us. We have confidence in ourselves, and more important, confidence in the Lord who is preparing us to do battle for Him.
St. Francis encouraged his followers to live lives of conversion. This is our Spring Training! This is a time when we embrace special spiritual exercises and disciplines, which strengthen us for the rigorous challenge of conversion. It may encompass major steps in our life with God or smaller everyday steps that slowly draw us to our eternal destiny. Lent allows us time to focus on the need for conversion, constant conversion.
“Human frailty makes it necessary that this conversion be carried out daily.”² We may have defining moments in our life of faith but need to augment these with the many lesser moments that keep us on the proper path. Fasting and abstaining from meat can remind us of the need to depend on God, as well as connect us to those who go daily without these basic necessities. Giving our time, treasure, and talent to someone, especially the poor, expands our world to all God’s people and helps us better love God and others. Spending extra time in prayer makes the Lenten experience quite personal and draws us even deeper into our life with God.
One of the best elements of Lent is the way it instills hope. All thirty teams come out of spring training with the hope that this is the year they will get to the World Series. The same sense of hope permeates the season of Lent. “There always is a sense that dedication to the discipline and penance of the ‘daily grind’ of Lent will lead toward the promise of the Resurrection – the ultimate victory over sin and death and the 'championship trophy' of Eternal Life.”³
Like St. Francis, let us strive each day during Lent to make ourselves new, make ourselves fresh and begin again.
Chris Leone, OFS, SFC '73
(Next to the entry, the page also holds crystal structures)
********
Na5InPb: optimized geometry, PBE-GGA.

Lattice parameters (Å, degrees): 6.4306 8.4540 8.4540 90.72 78.11 78.11
With the nearest neighbours (Å) after each atom.
Element x y z (fractional)
1 Na 0.7500 0.7235 0.2765  3 Pb 3.44-3.75, 6 Na 3.65-3.80, 2 In 3.69
2 Na 0.0981 0.3192 0.1942  2 Pb 3.31-3.44, 2 In 3.37-3.45, 6 Na 3.37-3.69
3 Na 0.1839 0.9469 0.3401  3 Na 3.18-3.37, 2 In 3.26-3.33, 1 Pb 3.32
4 Na 0.9019 0.6808 0.8058  2 Pb 3.31-3.44, 2 In 3.37-3.45, 6 Na 3.37-3.69
5 Na 0.3161 0.6599 0.0531  3 Na 3.18-3.37, 2 In 3.26-3.33, 1 Pb 3.32
6 Na 0.4019 0.8058 0.6808  2 Pb 3.31-3.44, 2 In 3.37-3.45, 6 Na 3.37-3.69
7 Na 0.2500 0.2765 0.7235  3 Pb 3.44-3.75, 6 Na 3.65-3.80, 2 In 3.69
8 Na 0.5981 0.1942 0.3192  2 Pb 3.31-3.44, 2 In 3.37-3.45, 6 Na 3.37-3.69
9 Na 0.8161 0.0531 0.6599  3 Na 3.18-3.37, 2 In 3.26-3.33, 1 Pb 3.32
10 Na 0.6839 0.3401 0.9469  3 Na 3.18-3.37, 2 In 3.26-3.33, 1 Pb 3.32
11 In 0.5000 0.0000 0.0000  2 In 3.22, 8 Na 3.26-3.45
12 In 0.0000 0.0000 0.0000  2 In 3.22, 8 Na 3.26-3.45
13 Pb 0.2500 0.5627 0.4373  7 Na 3.31-3.44, 2 Pb 3.55
14 Pb 0.7500 0.4373 0.5627  7 Na 3.31-3.44, 2 Pb 3.55

Summary:
Calculated formation energy: -0.077 eV per atom
DFT total energy: -27.2 eV for the cell shown
Space-group type: C2/c, No. 15



MnTl2Te: optimized geometry, PBE-GGA.

Lattice parameters (Å, degrees): 10.9615 10.9615 10.9615 17.71 17.71 17.71
With the nearest neighbours (Å) after each atom.
Element x y z (fractional)
1 Tl 0.9885 0.9885 0.9885  3 Mn 3.03, 6 Tl 3.37
2 Tl 0.5115 0.5115 0.5115  3 Mn 3.03, 6 Tl 3.37
3 Mn 0.2500 0.2500 0.2500  6 Tl 3.03, 6 Mn 3.37
4 Te 0.7500 0.7500 0.7500  6 Te 3.37, 6 Tl 3.63

Summary:
ΔE_f (raw): 0.4212 eV/atom
DFT total energy: -15.4 eV for the cell shown
Space-group type: R-3m, No. 166



NbCo5Si: optimized geometry, PBE-GGA.

Lattice parameters (Å, degrees): 3.7117 3.7117 6.2517 90.00 90.00 90.00
With the nearest neighbours (Å) after each atom.
Element x y z (fractional)
1 Nb 0.0000 0.0000 0.5000  12 Co 2.58-2.62
2 Co 0.5000 0.0000 0.7862  2 Si 2.29
3 Co 0.0000 0.5000 0.2138  2 Si 2.29
4 Co 0.5000 0.0000 0.2138  2 Si 2.29
5 Co 0.0000 0.5000 0.7862  2 Si 2.29
6 Co 0.5000 0.5000 0.5000  8 Co 2.58, 4 Nb 2.62
7 Si 0.5000 0.5000 0.0000  8 Co 2.29

Summary:
ΔE_f (raw): -0.1490 eV/atom
DFT total energy: -52.1 eV for the cell shown
Space-group type: P4/mmm, No. 123



Which formula does entry 3 have? NbCo5Si



What is the DFT total energy in the first record? -27.2 eV for the cell shown



Which value of DFT total energy does entry 2 give? -15.4 eV for the cell shown

~~~~~

[1]
Entry from Alexandria: a geometry-optimized DySn8Ru2 structure (PBE).

Unit cell a=6.4415 b=6.4415 c=7.3766 alpha=90.00 beta=90.00 gamma=90.00
Space group P4/mmm (No. 123)
Unique sites:
Dy  0.0000  0.0000  0.0000 [1 per cell]
Sn  0.2562  0.2562  0.2860 [8 per cell]
Ru  0.0000  0.5000  0.5000 [2 per cell]

Computed properties:
********
Minister, Our Lady of the Angels Region
Secular Franciscan Order
¹ Thomas of Celano, “First Life of St. Francis,” in Marion Habig, St. Francis of Assisi: Omnibus of Sources (Cincinnati: Franciscan Media, 2009), 118.
² The Rule of the Secular Franciscan Order, Article 7.
³ Most Reverend Jeffrey Haines, Auxiliary Bishop, Archdiocese of Milwaukee, 2019.